# Brief
Type out the calculation results further below verbatim.
# Material
NdTmGaRu | Alexandria | GGA-PBE | optimized geometry; relative energy among the computed polymorphs = 5.26 kJ per mole of atoms; space-group type = F-43m; energy of formation from the pure elements = -0.383 eV/atom; Fermi-level density of states = 0.594 states/eV/atom
1.0
0.000 3.527 3.527
3.527 0.000 3.527
3.527 3.527 0.000
Nd Tm Ga Ru
1 1 1 1
Direct
0.000 0.000 0.000
0.500 0.500 0.500
0.750 0.750 0.750
0.250 0.250 0.250
# Here it is
NdTmGaRu | Alexandria | GGA-PBE | optimized geometry; relative energy among the computed polymorphs = 5.26 kJ per mole of atoms; space-group type = F-43m; energy of formation from the pure elements = -0.383 eV/atom; Fermi-level density of states = 0.594 states/eV/atom
1.0
0.000 3.527 3.527
3.527 0.000 3.527
3.527 3.527 0.000
Nd Tm Ga Ru
1 1 1 1
Direct
0.000 0.000 0.000
0.500 0.500 0.500
0.750 0.750 0.750
0.250 0.250 0.250